
Corrupt God of Path of the Blood

I have revised the fiction and started writing it as a new novel. Those who want to read it can find it by typing Corrupt Cultivation System. This book will not continue. ------- Even the gods could fall. Corrupt One, one of the most powerful gods in the Dimension of the Gods, had the power of hundreds of thousands of believers with the "Blood of Darkness and Fire" Technique he had created. But the jealousy of the other gods united them all against one god, Corrupt One. This battle even caused rifts in the Dimension of the Gods. Realized he could not win, Corrupt One used the power of the believers to resurrect himself in a new body, but this came at a price. He failed to take his memory with himself and was cursed by the shattered part of his soul. Now his soul is condemned to a cruel life. He is still the same person, even if he is unaware of the power he once had. He did manage to bring one thing with him, though. The Corrupt Seal... Will he be able to bring the soul he carries inside him back to its deserved place? Or will the obstacles in his path put him back to the beginning? The story of a young man born from the dead. Only the darkest hearts can become one with demons. --- Author: The protagonist of this story is a young man who has grown up with various psychological problems and traumas. He knows he is weak, but instead of sitting and crying, he uses his intelligence to get what he wants. Of course it will be strong. Even very powerful. But there is a time for everything. The MC receives power not as a gift from heaven, but as a result of his own efforts. He often makes plans that require him to do many things to achieve them. He does not wait for fate to be kind to him. He takes from it what he needs. MC is not a psychopath who kills everyone he sees. However, he is not afraid to kill whoever he needs to in order to guarantee his job. He doesn't care how many deaths are on the way to his goal. At first, the MC may be scared, he may throw tantrums because of what he is going through in his inner world. He is not a robotic MC, completely removed from humanity. He has feelings. He has to deal with psychological problems and fights the stains they leave on his soul. He learns and grows stronger with time. MC is manipulative. The world expands as the story progresses. Not everything is revealed to the reader at the beginning. It is discovered together with the MC. The huge world contains many supernatural creatures, regions, techniques, places and more. If you want to read an MC who is morally corrupt, has psychological problems, cares about his own self-interest, conspires, plans, manipulates people, hides his power when he is strong and reveals it when necessary, you are in the right place. There may be some grammatical mistakes that are not big enough to affect the reading pleasure. It is updated every day.

[Between two parts of the article: crystal structures]
Record 1
VASP calculation (PBE) on a relaxed structure of AcPaAg2.

Output
The space-group type is R-3m (166). For the calculated density, the calculation gives 10.2 g/cm3. The energy relative to the lowest polymorph listed for this composition is 439 meV/atom. Its energy relative to the elements is 584.3 meV/atom.

abc: 3.2944 3.2944 34.9841
angles: 90.00 90.00 120.00
Fractional coordinates of all 12 atoms:
Ac1 0.0000 0.0000 0.0000
Ac2 0.3333 0.6667 0.6667
Ac3 0.6667 0.3333 0.3333
Pa1 0.0000 0.0000 0.5000
Pa2 0.3333 0.6667 0.1667
Pa3 0.6667 0.3333 0.8333
Ag1 0.0000 0.0000 0.4136
Ag2 0.0000 0.0000 0.5864
Ag3 0.3333 0.6667 0.0803
Ag4 0.3333 0.6667 0.2531
Ag5 0.6667 0.3333 0.7469
Ag6 0.6667 0.3333 0.9197

***

Record 2
VASP calculation (PBE) on a relaxed structure of AcPaAg2.

Output
The space-group type is P4/mmm (123). For the calculated density, the calculation gives 10.3 g/cm3. The energy relative to the lowest polymorph listed for this composition is 0 meV/atom. Its energy relative to the elements is 145.3 meV/atom.

abc: 3.6541 3.6541 8.1253
angles: 90.00 90.00 90.00
Fractional coordinates of all 4 atoms:
Ac1 0.0000 0.0000 0.0000
Pa1 0.0000 0.0000 0.5000
Ag1 0.5000 0.5000 0.2713
Ag2 0.5000 0.5000 0.7287

***

Record 3
VASP calculation (PBE) on a relaxed structure of AcPaAgSn.

Output
The space-group type is F-43m (216). For the calculated density, the calculation gives 9.7 g/cm3. Its energy relative to the elements is -4.2 meV/atom.

abc: 7.7703 7.7703 7.7703
angles: 90.00 90.00 90.00
Fractional coordinates of all 16 atoms:
Ac1 0.0000 0.0000 0.0000
Ac2 0.0000 0.5000 0.5000
Ac3 0.5000 0.0000 0.5000
Ac4 0.5000 0.5000 0.0000
Pa1 0.0000 0.0000 0.5000
Pa2 0.0000 0.5000 0.0000
Pa3 0.5000 0.0000 0.0000
Pa4 0.5000 0.5000 0.5000
Ag1 0.2500 0.2500 0.7500
Ag2 0.2500 0.7500 0.2500
Ag3 0.7500 0.2500 0.2500
Ag4 0.7500 0.7500 0.7500
Sn1 0.2500 0.2500 0.2500
Sn2 0.2500 0.7500 0.7500
Sn3 0.7500 0.2500 0.7500
Sn4 0.7500 0.7500 0.2500

***

Record 4
VASP calculation (PBE) on a relaxed structure of AcAgPb.

Output
The space-group type is P6_3/mmc (194). For the calculated density, the calculation gives 9.8 g/cm3. The energy relative to the lowest polymorph listed for this composition is 0 meV/atom. Its energy relative to the elements is -447.9 meV/atom.

abc: 4.9813 4.9813 8.5267
angles: 90.00 90.00 120.00
Fractional coordinates of all 6 atoms:
Ac1 0.0000 0.0000 0.0000
Ac2 0.0000 0.0000 0.5000
Ag1 0.3333 0.6667 0.2500
Ag2 0.6667 0.3333 0.7500
Pb1 0.3333 0.6667 0.7500
Pb2 0.6667 0.3333 0.2500

KagaraTheHunter · 東方
78 Chs

The Thief

Huan Wei was walking into town. Before he left the forest, he checked the pouch. There were five pills in it. Unfortunately, there was nothing he could use at the Pedestrian stage. These were simple pills for someone in the Traveler stage. Still, they could be useful for cleansing his body of impurities. He was going to save them so that he could use them when he entered the Traveler stage.

What he needed now was a pill to buy from the merchant who would come tomorrow. 30 silver coins was a good price for this pill. Maybe he could get a discount with a little emotional appeal. Then he could start planning to kill Huan Hong. He was his next target. He was sure to be a more formidable opponent than Huan Liwei. Huan Hong used a spear and was very good with it. Therefore Huan Wei would not be as relaxed as he had been in his first battle. Some matters would have to be settled before the battle began.

Before he left the forest, he set up the traps he had collected from the place where he had killed Huan Liwei in other places. It would have been nice if he had found a hunted animal, but luck was not on his side this time. He was coming back empty-handed. There was still a feeling inside him that pleased him. He had never imagined that killing Huan Liwei would be so pleasurable. He stopped at the entrance to the town and looked down the streets. Huan Liwei was no more. He couldn't help smiling. He imagined how happy he would be after killing everyone who annoyed him. It would be an absolutely wonderful feeling.

He took a deep breath and put on his usual innocent expression. Then he entered the town and started walking through the streets. People were talking about the caravan that would stop here tomorrow. New clothes, new weapons, ointments and medicines not available in town... It was all coming. For those who had arranged to pay for what they were going to buy, it would be a feast. It would be a good day even for the poor. And the town leaders would buy new technical manuals to add to the Manual Pavilion. Any way you looked at it, it would be good for the whole town. The caravan would stay here for a few days. That meant the inns would make a lot of money.

Huan Wei listened to people talking and made his way home. He would carry the money he had saved on his person now. Having it on him all this time might have caused trouble, but the last night would be fine. He would still have to arrange a secret meeting with one of the merchants. There would be trouble if people asked him where he got the 30 silver coins. So he had to make the exchange in secret. Maybe he could use a moment when one of the merchants left the crowd.

When he came to his neighborhood, the streets seemed cleaner to him. Even the coolness of the breeze was more beautiful. "A death can make someone's world so beautiful." He thought to himself. "I should have made this decision a long time ago."

As Huan Wei walked towards his own house, he came to Huan Quon's father's shop. He secretly wondered what they were doing now. When would they notice Huan Liwei's absence? It was certain that Huan Quon would not conduct a serious investigation. Even if he did, no one could control the cliff. The murder had been perfect.

As he passed by the merchant's shop, he saw Huan Quon talking to Huan Hong. He walked past them, knowing they would make fun of him. He wanted to hear what they were saying, but when he noticed him, they stopped talking. He couldn't hear anything. It looked like he was going to get a few insults and leave, but things worked differently than he thought. This time they didn't stop him and they didn't make fun of him. Huan Wei felt strange. Was something going on that he didn't know about?

He checked his own information. What conversation could Huan Quon and Huan Hong have had that even he wouldn't want to hear? And this time they hadn't even deigned to mock him. Huan Wei was demoralized. He realized again that things were not entirely in his control. Perhaps they were talking about Huan Quon's father's business? But that was none of Huan Hong's business. Why would Huan Quon tell him?

"The third member of the group is the furthest away from them," he said to himself. "These two are closer to each other. I will have to pay more attention."

He left them behind and came home. He smelled alcohol even before he opened the door. When he entered, he saw a sight he did not expect. His father had filled the table with a variety of drinks and had brought a lot of food to eat. Looking at Huan Wei, he grinned and continued drinking. At that moment lightning flashed in the young man's brain.

When he went to his room with quick steps, he saw that all his belongings were smashed. His bed, his closet and even the box where he kept his money were smashed. His eyes widened in anger and he clenched his fists. He turned around and walked with heavy steps towards his father. The drunkard put his drink down on the table and said, "What happened? Are you looking for something?" he asked. By this time he was eating some fruit.

"You vile, self-righteous piece of human garbage. How dare you steal my money?" Huan Wei was trying hard not to attack the man. The money he had been saving little by little all this time was gone. The caravan would arrive tomorrow and he only had a few coppers. He would never be able to buy the pill.

Crystal structures, kept here for reference:
<<<
This record from the Alexandria database describes SrZr4Mn after structural relaxation. The functional is PBE.

Properties
As for the energy of formation: 614 meV per atom. Its magnetic moment is 0.63 μB per atom.

Structure (CIF):
```
data_SrZr4Mn
_symmetry_space_group_name_H-M 'F -4 3 m'
_symmetry_Int_Tables_number 216
_symmetry_space_group_name_Hall 'F -4 2 3'
_cell_length_a 8.514
_cell_length_b 8.514
_cell_length_c 8.514
_cell_angle_alpha 90.00
_cell_angle_beta 90.00
_cell_angle_gamma 90.00
loop_
_atom_site_label
_atom_site_type_symbol
_atom_site_fract_x
_atom_site_fract_y
_atom_site_fract_z
Sr1 Sr 0.000 0.000 0.000
Zr1 Zr 0.124 0.124 0.624
Mn1 Mn 0.250 0.250 0.250
```

=====

This record from the Alexandria database describes SrZr3Mn after structural relaxation. The functional is PBE.

Properties
For the polymorph energy (0 for the lowest one), the calculation gives 0.000 eV/atom. As for the energy of formation: 356 meV per atom. Its magnetic moment is 0.00 μB per atom.

Structure (CIF):
```
data_SrZr3Mn
_symmetry_space_group_name_H-M 'P m -3 m'
_symmetry_Int_Tables_number 221
_symmetry_space_group_name_Hall '-P 4 2 3'
_cell_length_a 5.042
_cell_length_b 5.042
_cell_length_c 5.042
_cell_angle_alpha 90.00
_cell_angle_beta 90.00
_cell_angle_gamma 90.00
loop_
_atom_site_label
_atom_site_type_symbol
_atom_site_fract_x
_atom_site_fract_y
_atom_site_fract_z
Sr1 Sr 0.000 0.000 0.000
Zr1 Zr 0.000 0.500 0.500
Mn1 Mn 0.500 0.500 0.500
```

=====

This record from the Alexandria database describes Sr2ZrMn after structural relaxation. The functional is PBE.

Properties
For the polymorph energy (0 for the lowest one), the calculation gives 0.450 eV/atom. As for the energy of formation: 768 meV per atom. Its magnetic moment is 1.12 μB per atom.

Structure (CIF):
```
data_Sr2ZrMn
_symmetry_space_group_name_H-M 'R -3 m'
_symmetry_Int_Tables_number 166
_symmetry_space_group_name_Hall '-R 3 2"'
_cell_length_a 3.5858
_cell_length_b 3.5858
_cell_length_c 33.4344
_cell_angle_alpha 90.00
_cell_angle_beta 90.00
_cell_angle_gamma 120.00
loop_
_atom_site_label
_atom_site_type_symbol
_atom_site_fract_x
_atom_site_fract_y
_atom_site_fract_z
Sr1 Sr 0.0000 0.0000 0.2453
Zr1 Zr 0.0000 0.0000 0.0000
Mn1 Mn 0.0000 0.0000 0.5000
```

=====

This record from the Alexandria database describes Sr2ZrMn after structural relaxation. The functional is PBE.

Properties
For the polymorph energy (0 for the lowest one), the calculation gives 0.000 eV/atom. As for the energy of formation: 317 meV per atom. Its magnetic moment is 0.44 μB per atom.

Structure (CIF):
```
data_Sr2ZrMn
_symmetry_space_group_name_H-M 'P m m 2'
_symmetry_Int_Tables_number 25
_symmetry_space_group_name_Hall 'P 2 -2'
_cell_length_a 3.679
_cell_length_b 3.696
_cell_length_c 9.364
_cell_angle_alpha 90.00
_cell_angle_beta 90.00
_cell_angle_gamma 90.00
loop_
_atom_site_label
_atom_site_type_symbol
_atom_site_fract_x
_atom_site_fract_y
_atom_site_fract_z
Sr1 Sr 0.000 0.000 0.000
Sr2 Sr 0.500 0.500 0.373
>>>

His father continued to drink indifferently. "You should have kept your mouth shut when I asked you for money. Maybe then you would have had a little more money."

"Do you realize what you've caused? You put all my hard work into a few bottles on the table!"

"Shut up." The man frowned. "You think I don't know where you got that money? I'm your father. I know you inside and out better than anyone. Consider yourself lucky I'm not complaining about you. And go and work harder. Or I will kick you out of the house."

Huan Wei swallowed angrily. At that moment he wanted to draw his sword and cut off his head. He wanted to take all the money he had spent out of the man's blood, but he restrained himself. "You will pay it all back to me. Every single silver."

"You want it back without shame? Do you really have the nerve to say that after all that stealing?"

"Don't force me, Huan Chao."

The man's expression changed. "I tolerated all your disrespect, but you call your father by his name?" he said as he advanced on the young man. The power of the First Step of Path of the Earth made Huan Wei uneasy. His father had already broken through the Explorer stage of the first realm and entered the Path of the Earth. There was no way he could defeat him in a one-on-one battle. Nevertheless, he reached for his sword.

When Huan Chao saw that his son was going to attack, he smiled mockingly. Then he extended his hand towards him in a fist. Although they were two meters apart, Huan Wei was pushed back by an invisible force. He was knocked off his feet and sent flying until his back hit the wall. When he fell to the ground after the hard impact, his whole body was in pain. He quickly recovered and stood up, but his father was already at his side.

Huan Chao grabbed him by the throat, lifted him up and punched him in the chest. Huan Wei hit the wall again and was unable to breathe as he fell to the ground. His face was red. After a few seconds of straining his lungs, he could breathe again. Huan Chao grabbed him again and pulled the sword from his waist. "Is this what you rely on?" he said as he threw the sword aside. "What martial art have I chosen, Wei? Tell me."

Huan Wei could hardly breathe. He knew his father had chosen the fist. In a fist fight, the young man wouldn't stand a chance against him. He couldn't even scratch him. When Huan Chao got no answer, he slapped his son hard. It made his lip bleed.

"I asked you a question. When your father asks you something, answer." He waited a while longer, but Huan Wei didn't make a sound. "So that's how it is. Have it your way."

He gave another slap. He straightened Huan Wei's head with one hand and slapped him with the other. After a few more slaps, the youth still made no sound. This made his father hit him harder. Huan Chao slapped Huan Wei for several minutes. When the young man could no longer speak, he grabbed him by the collar and dragged him away. He threw him into the young man's room, which was full of broken furniture. Then he took the key from him and locked the door. Huan Wei lay on the floor, his face swollen like a balloon.

Huan Chao went back to the drinking table and continued to enjoy himself. All the while he was talking to himself. "Stupid boy, he's going to get himself killed. At my age, I'm going to be a child killer." Then he raised his voice loud enough for him to hear. "You will learn respect! Look at the kitten you've become when you're out and about! And the tiger you're trying to become at home! You're pathetic! You always have been! Always will be!"

Huan Wei lay motionless on the floor. He just stared at the ceiling as he heard his father's words.

He was clenching his fists. He was unaware of the demon mark on his left palm. The more his soul was filled with rage, the more his left hand itched. He wanted Huan Chao dead. He wanted to go on with his life alone. He wanted Huan Chao to be taken away by the Black Void they always called him.